Entries >
# 1
Al2CuPt4 PBE relaxed; size of the total moment = 0.00 μB/atom; energy of formation = -0.35 eV/atom; symmetry = No. 139
1.0
-2.3138 2.3138 5.4438
2.3138 -2.3138 5.4438
2.3138 2.3138 -5.4438
Al Cu Pt
2 1 4
Direct
0.1379 0.1379 0.0000
0.8621 0.8621 0.0000
0.5000 0.5000 0.0000
0.0000 0.5000 0.5000
0.2500 0.7500 0.5000
0.5000 0.0000 0.5000
0.7500 0.2500 0.5000

***

# 2
AcSm5Tl4 PBE relaxed; size of the total moment = 0.01 μB/atom; energy of formation = -0.29 eV/atom; symmetry = No. 123
1.0
3.6899 0.0000 0.0000
0.0000 3.6899 0.0000
0.0000 0.0000 22.5319
Ac Sm Tl
1 5 4
Direct
0.0000 0.0000 0.0000
0.5000 0.5000 0.1222
0.5000 0.5000 0.3106
0.5000 0.5000 0.5000
0.5000 0.5000 0.6894
0.5000 0.5000 0.8778
0.0000 0.0000 0.2148
0.0000 0.0000 0.4052
0.0000 0.0000 0.5948
0.0000 0.0000 0.7852
Exercise >
Now work out how many lines above have the word "PBE" in them; a number is enough.
Here it is >
2